Activity:
Next, retype the whole of the notes below character by character.
Listing:
A cluster of 9 separate species, C32H47N7O2S2 in total at a distorted geometry, computed with wB97M-V/def2-TZVPD.

Geometry as ORCA input:
```
! RIJCOSX wB97M-V def2-TZVPD def2/J DEFGRID3
* xyz 0 1
S 0.420 -3.395 3.670
S 1.831 3.034 0.655
O 2.991 2.230 1.098
O 0.170 -3.223 2.195
N 3.687 -0.456 1.812
N 1.890 -4.069 -0.046
N -2.017 -1.758 -1.838
N -4.880 0.619 -1.925
N 3.054 -0.411 -2.248
N -3.935 0.128 3.310
N -2.753 3.318 -3.630
C -0.705 3.554 -4.374
C 5.303 -1.931 2.381
C 1.261 2.305 -0.923
C 0.503 2.404 1.593
C -1.636 0.354 -2.053
C -5.591 2.597 -1.136
C 4.222 0.278 -2.189
C 2.694 -5.142 -0.293
C -6.091 0.913 -2.585
C 2.810 1.272 -3.627
C 2.760 -3.882 -2.085
C 4.433 -1.455 1.367
C -3.043 -0.457 4.210
C -3.208 1.779 4.660
C 3.272 -5.019 -1.475
C -2.059 3.976 -2.609
C 1.865 -3.291 -1.213
C 0.173 -1.698 4.261
C -1.906 3.046 -4.660
C 2.196 -3.473 3.813
C -4.629 1.635 -1.090
C -1.946 -0.760 -2.749
C -6.583 2.144 -2.120
C -2.625 0.533 5.052
C 4.029 -0.229 3.136
C 2.174 0.137 -3.094
C -1.699 -1.297 -0.572
C 4.090 1.332 -3.011
C 5.000 -1.087 3.532
C -1.467 0.025 -0.690
C -4.017 1.501 3.556
C -0.777 4.201 -3.108
H 2.891 -3.692 -3.129
H -3.064 2.737 5.169
H 2.117 2.360 -1.663
H -3.031 -1.540 4.303
H 0.191 3.369 -4.874
H 0.951 -1.098 3.732
H 1.395 -2.366 -1.296
H 1.027 1.250 -0.813
H -4.206 -0.207 -2.169
H 4.329 -1.966 0.377
H -4.466 -0.353 2.601
H -2.585 4.223 -1.674
H -1.808 -1.950 0.289
H -4.423 2.284 2.790
H 2.671 -5.991 0.334
H -3.739 1.602 -0.445
H 1.229 -0.428 -3.294
H 1.332 -3.990 0.758
H 4.973 0.000 -1.465
H 0.676 2.645 2.657
H 0.402 2.875 -1.242
H 2.539 -4.479 3.884
H 2.889 -1.262 -1.769
H 3.524 0.563 3.668
H 2.368 1.877 -4.428
H -3.728 3.242 -3.699
H 5.346 -1.273 4.518
H 2.538 -2.939 4.716
H 3.846 -5.778 -1.971
H -0.491 2.667 1.291
H -1.226 0.710 0.101
H -5.635 3.491 -0.462
H 0.413 1.328 1.438
H 3.252 0.167 1.143
H -2.184 2.320 -5.349
H -7.557 2.621 -2.348
H 0.002 4.627 -2.484
H -1.557 1.350 -2.441
H -2.416 -2.670 -1.908
H 4.755 2.103 -3.239
H -6.533 0.142 -3.184
H 2.591 -2.853 3.004
H -2.003 0.430 5.918
H 6.101 -2.682 2.310
H -2.212 -0.742 -3.822
H -0.866 -1.383 3.861
H 0.120 -1.628 5.351
*
```

Values from the calculation:
E	-70137.4769	eV
strongest force on any atom	0.0880	hartree/bohr
Kohn-Sham gap	8.24	eV

A cluster of 13 separate species, H27O13 in total at a distorted geometry, computed with wB97M-V/def2-TZVPD.

Geometry as ORCA input:
```
! RIJCOSX wB97M-V def2-TZVPD def2/J DEFGRID3
* xyz 1 1
O 0.482 -2.378 -1.115
O 1.314 -0.430 2.802
O 2.154 1.195 -0.931
O -1.648 3.361 0.146
O -1.724 1.516 -3.548
O 0.575 2.159 3.192
O 0.977 -2.754 1.229
O -0.136 0.085 -0.055
O -3.275 -1.939 -0.124
O -1.764 0.261 2.342
O 2.647 -1.098 -3.179
O -1.938 -2.169 -2.595
O 3.294 2.092 1.007
H -0.353 -2.420 -1.469
H 0.199 -2.672 0.611
H 2.825 2.620 1.614
H -1.880 1.230 -2.609
H 1.448 -3.522 1.004
H -0.383 -0.813 -0.083
H -2.065 -1.435 -2.048
H -1.131 2.607 -0.090
H 2.665 1.774 -0.387
H 1.172 0.579 2.333
H 1.050 -2.881 -1.936
H -2.659 -2.327 -3.159
H -2.156 1.137 2.196
H -2.294 -0.225 2.798
H 1.235 -1.201 2.007
H 2.231 -0.880 -2.456
H -4.152 -2.073 -0.383
H -3.564 -1.907 0.848
H 0.308 1.860 4.042
H 1.463 1.850 -1.250
H 0.900 0.111 -0.301
H -1.401 0.732 -4.033
H 4.034 1.551 1.250
H 0.389 -0.554 3.397
H 0.157 3.161 3.009
H 2.610 -0.253 -3.646
H -1.603 4.049 -0.430
*
```

Values from the calculation:
E	-27045.7238	eV
strongest force on any atom	0.1630	hartree/bohr
Kohn-Sham gap	10.14	eV

A cluster of 4 separate species, C3H14NO4 in total at a distorted geometry, computed with wB97M-V/def2-TZVPD.

Geometry as ORCA input:
```
! RIJCOSX wB97M-V def2-TZVPD def2/J DEFGRID3
* xyz 1 1
O -2.187 1.506 -0.822
O -0.984 1.595 1.370
O -0.374 0.671 -2.526
O 2.820 0.544 0.511
N 0.170 -0.659 0.063
C -0.914 0.630 2.131
C -0.078 -0.619 1.605
C 0.512 -2.137 -0.429
H -3.109 1.634 -0.904
H 1.064 -0.112 -0.169
H -0.553 -0.353 -0.589
H 0.405 -2.085 -1.681
H 3.578 0.790 -0.057
H 0.949 -0.563 2.132
H -0.561 -1.558 2.051
H 2.565 1.419 0.877
H -0.327 -2.680 -0.215
Here it is:
A cluster of 9 separate species, C32H47N7O2S2 in total at a distorted geometry, computed with wB97M-V/def2-TZVPD.

Geometry as ORCA input:
```
! RIJCOSX wB97M-V def2-TZVPD def2/J DEFGRID3
* xyz 0 1
S 0.420 -3.395 3.670
S 1.831 3.034 0.655
O 2.991 2.230 1.098
O 0.170 -3.223 2.195
N 3.687 -0.456 1.812
N 1.890 -4.069 -0.046
N -2.017 -1.758 -1.838
N -4.880 0.619 -1.925
N 3.054 -0.411 -2.248
N -3.935 0.128 3.310
N -2.753 3.318 -3.630
C -0.705 3.554 -4.374
C 5.303 -1.931 2.381
C 1.261 2.305 -0.923
C 0.503 2.404 1.593
C -1.636 0.354 -2.053
C -5.591 2.597 -1.136
C 4.222 0.278 -2.189
C 2.694 -5.142 -0.293
C -6.091 0.913 -2.585
C 2.810 1.272 -3.627
C 2.760 -3.882 -2.085
C 4.433 -1.455 1.367
C -3.043 -0.457 4.210
C -3.208 1.779 4.660
C 3.272 -5.019 -1.475
C -2.059 3.976 -2.609
C 1.865 -3.291 -1.213
C 0.173 -1.698 4.261
C -1.906 3.046 -4.660
C 2.196 -3.473 3.813
C -4.629 1.635 -1.090
C -1.946 -0.760 -2.749
C -6.583 2.144 -2.120
C -2.625 0.533 5.052
C 4.029 -0.229 3.136
C 2.174 0.137 -3.094
C -1.699 -1.297 -0.572
C 4.090 1.332 -3.011
C 5.000 -1.087 3.532
C -1.467 0.025 -0.690
C -4.017 1.501 3.556
C -0.777 4.201 -3.108
H 2.891 -3.692 -3.129
H -3.064 2.737 5.169
H 2.117 2.360 -1.663
H -3.031 -1.540 4.303
H 0.191 3.369 -4.874
H 0.951 -1.098 3.732
H 1.395 -2.366 -1.296
H 1.027 1.250 -0.813
H -4.206 -0.207 -2.169
H 4.329 -1.966 0.377
H -4.466 -0.353 2.601
H -2.585 4.223 -1.674
H -1.808 -1.950 0.289
H -4.423 2.284 2.790
H 2.671 -5.991 0.334
H -3.739 1.602 -0.445
H 1.229 -0.428 -3.294
H 1.332 -3.990 0.758
H 4.973 0.000 -1.465
H 0.676 2.645 2.657
H 0.402 2.875 -1.242
H 2.539 -4.479 3.884
H 2.889 -1.262 -1.769
H 3.524 0.563 3.668
H 2.368 1.877 -4.428
H -3.728 3.242 -3.699
H 5.346 -1.273 4.518
H 2.538 -2.939 4.716
H 3.846 -5.778 -1.971
H -0.491 2.667 1.291
H -1.226 0.710 0.101
H -5.635 3.491 -0.462
H 0.413 1.328 1.438
H 3.252 0.167 1.143
H -2.184 2.320 -5.349
H -7.557 2.621 -2.348
H 0.002 4.627 -2.484
H -1.557 1.350 -2.441
H -2.416 -2.670 -1.908
H 4.755 2.103 -3.239
H -6.533 0.142 -3.184
H 2.591 -2.853 3.004
H -2.003 0.430 5.918
H 6.101 -2.682 2.310
H -2.212 -0.742 -3.822
H -0.866 -1.383 3.861
H 0.120 -1.628 5.351
*
```

Values from the calculation:
E	-70137.4769	eV
strongest force on any atom	0.0880	hartree/bohr
Kohn-Sham gap	8.24	eV

A cluster of 13 separate species, H27O13 in total at a distorted geometry, computed with wB97M-V/def2-TZVPD.

Geometry as ORCA input:
```
! RIJCOSX wB97M-V def2-TZVPD def2/J DEFGRID3
* xyz 1 1
O 0.482 -2.378 -1.115
O 1.314 -0.430 2.802
O 2.154 1.195 -0.931
O -1.648 3.361 0.146
O -1.724 1.516 -3.548
O 0.575 2.159 3.192
O 0.977 -2.754 1.229
O -0.136 0.085 -0.055
O -3.275 -1.939 -0.124
O -1.764 0.261 2.342
O 2.647 -1.098 -3.179
O -1.938 -2.169 -2.595
O 3.294 2.092 1.007
H -0.353 -2.420 -1.469
H 0.199 -2.672 0.611
H 2.825 2.620 1.614
H -1.880 1.230 -2.609
H 1.448 -3.522 1.004
H -0.383 -0.813 -0.083
H -2.065 -1.435 -2.048
H -1.131 2.607 -0.090
H 2.665 1.774 -0.387
H 1.172 0.579 2.333
H 1.050 -2.881 -1.936
H -2.659 -2.327 -3.159
H -2.156 1.137 2.196
H -2.294 -0.225 2.798
H 1.235 -1.201 2.007
H 2.231 -0.880 -2.456
H -4.152 -2.073 -0.383
H -3.564 -1.907 0.848
H 0.308 1.860 4.042
H 1.463 1.850 -1.250
H 0.900 0.111 -0.301
H -1.401 0.732 -4.033
H 4.034 1.551 1.250
H 0.389 -0.554 3.397
H 0.157 3.161 3.009
H 2.610 -0.253 -3.646
H -1.603 4.049 -0.430
*
```

Values from the calculation:
E	-27045.7238	eV
strongest force on any atom	0.1630	hartree/bohr
Kohn-Sham gap	10.14	eV

A cluster of 4 separate species, C3H14NO4 in total at a distorted geometry, computed with wB97M-V/def2-TZVPD.

Geometry as ORCA input:
```
! RIJCOSX wB97M-V def2-TZVPD def2/J DEFGRID3
* xyz 1 1
O -2.187 1.506 -0.822
O -0.984 1.595 1.370
O -0.374 0.671 -2.526
O 2.820 0.544 0.511
N 0.170 -0.659 0.063
C -0.914 0.630 2.131
C -0.078 -0.619 1.605
C 0.512 -2.137 -0.429
H -3.109 1.634 -0.904
H 1.064 -0.112 -0.169
H -0.553 -0.353 -0.589
H 0.405 -2.085 -1.681
H 3.578 0.790 -0.057
H 0.949 -0.563 2.132
H -0.561 -1.558 2.051
H 2.565 1.419 0.877
H -0.327 -2.680 -0.215